**Given:**
┌──
Entry 1:
Calculated X-ray powder pattern
Compound: Th6HPb3
Radiation: a wavelength of 1.5418 Å
Structure: a cell relaxed with GGA-PBE

Peak list (6 most intense, 2θ = 15–90°, in order of rising 2θ)
| 2theta | Rel. int. |
| --- | --- |
| 29.70 | 43 |
| 29.96 | 36 |
| 31.54 | 32 |
| 33.18 | 100 |
| 36.05 | 20 |
| 54.96 | 20 |

Atomic structure:
abc: 10.441 10.441 5.976
angles: 90.00 90.00 119.59
Positions (direct):
Th  0.072  0.928  0.500
Th  0.086  0.572  0.310
Th  0.250  0.750  0.820
Th  0.260  0.406  0.997
Th  0.406  0.260  0.497
Th  0.428  0.914  0.310
Th  0.572  0.086  0.810
Th  0.594  0.740  0.997
Th  0.740  0.594  0.497
Th  0.750  0.250  0.320
Th  0.914  0.428  0.810
Th  0.928  0.072  0.000
H  0.197  0.803  0.466
H  0.803  0.197  0.966
Pb  0.072  0.257  0.502
Pb  0.257  0.072  0.002
Pb  0.409  0.591  0.501
Pb  0.591  0.409  0.001
Pb  0.743  0.928  0.502
Pb  0.928  0.743  0.002


Entry 2:
Calculated X-ray powder pattern
Compound: CsPa2Se4
Radiation: a wavelength of 1.5418 Å
Structure: a cell relaxed with GGA-PBE

Peak list (6 most intense, 2θ = 15–90°, in order of rising 2θ)
| 2theta | Rel. int. |
| --- | --- |
| 22.14 | 100 |
| 28.39 | 47 |
| 29.05 | 84 |
| 30.94 | 63 |
| 37.78 | 52 |
| 42.83 | 66 |

Atomic structure:
abc: 7.331 7.331 14.690
angles: 90.00 90.00 146.33
Positions (direct):
Cs  0.108  0.892  0.750
Cs  0.892  0.108  0.250
Pa  0.371  0.629  0.562
Pa  0.371  0.629  0.938
Pa  0.629  0.371  0.062
Pa  0.629  0.371  0.438
Se  0.000  0.000  0.000
Se  0.000  0.000  0.500
Se  0.261  0.739  0.103
Se  0.261  0.739  0.397
Se  0.408  0.592  0.750
Se  0.592  0.408  0.250
Se  0.739  0.261  0.603
Se  0.739  0.261  0.897


Entry 3:
Calculated X-ray powder pattern
Compound: Pm2Nd2Dy2Mg
Radiation: a wavelength of 1.5418 Å
Structure: a cell relaxed with GGA-PBE

Peak list (6 most intense, 2θ = 15–90°, in order of rising 2θ)
| 2theta | Rel. int. |
| --- | --- |
| 30.65 | 100 |
| 34.65 | 39 |
| 37.24 | 12 |
| 49.82 | 14 |
| 51.77 | 19 |
| 59.63 | 30 |

Atomic structure:
abc: 17.101 17.100 3.661
angles: 83.87 83.85 12.29
Positions (direct):
Pm  0.064  0.064  0.936
Pm  0.936  0.936  0.064
Nd  0.212  0.212  0.788
Nd  0.788  0.788  0.212
Dy  0.363  0.363  0.637
Dy  0.637  0.637  0.363
Mg  0.500  0.500  0.500


Entry 4:
Calculated X-ray powder pattern
Compound: PrNd2SmTm
Radiation: a wavelength of 1.5418 Å
Structure: a cell relaxed with GGA-PBE

Peak list (6 most intense, 2θ = 15–90°, in order of rising 2θ)
| 2theta | Rel. int. |
| --- | --- |
| 28.14 | 88 |
| 28.38 | 65 |
| 29.02 | 96 |
| 29.48 | 100 |
| 32.09 | 56 |
| 32.69 | 80 |

Atomic structure:
abc: 8.467 6.607 6.303
angles: 90.00 93.60 90.00
Positions (direct):
Pr  0.000  0.000  0.000
Pr  0.000  0.000  0.500
Nd  0.311  0.308  0.229
Nd  0.311  0.692  0.729
Nd  0.689  0.308  0.271
Nd  0.689  0.692  0.771
Sm  0.000  0.435  0.750
Sm  0.000  0.565  0.250
Tm  0.500  0.164  0.750
Tm  0.500  0.836  0.250


Entry 5:
Calculated X-ray powder pattern
Compound: KTa2P
Radiation: a wavelength of 1.5418 Å
Structure: a cell relaxed with GGA-PBE

Peak list (6 most intense, 2θ = 15–90°, in order of rising 2θ)
| 2theta | Rel. int. |
| --- | --- |
| 32.24 | 31 |
| 36.09 | 100 |
| 37.01 | 14 |
| 37.92 | 26 |
| 41.83 | 41 |
| 67.30 | 16 |

Atomic structure:
abc: 2.996 2.996 9.715
angles: 90.00 90.00 104.74
Positions (direct):
K  0.000  0.000  0.000
Ta  0.000  0.000  0.560
Ta  0.500  0.500  0.340
P  0.500  0.500  0.737


Entry 6:
Calculated X-ray powder pattern
Compound: Mo3OsRu3
Radiation: a wavelength of 1.5418 Å
Structure: a cell relaxed with GGA-PBE

Peak list (6 most intense, 2θ = 15–90°, in order of rising 2θ)
| 2theta | Rel. int. |
| --- | --- |
| 33.15 | 12 |
| 42.29 | 47 |
| 42.46 | 100 |
| 61.35 | 13 |
| 77.46 | 26 |
| 77.81 | 16 |

Atomic structure:
abc: 6.044 6.044 5.999
angles: 90.00 90.00 90.08
Positions (direct):
Mo  0.000  0.000  0.249
Mo  0.000  0.000  0.751
Mo  0.000  0.500  0.250
Mo  0.000  0.500  0.750
Mo  0.500  0.000  0.250
Mo  0.500  0.000  0.750
Os  0.272  0.272  0.000
└──
**Exercise:**
The reader should duplicate everything further up with every line break kept.
**Done:**
Entry 1:
Calculated X-ray powder pattern
Compound: Th6HPb3
Radiation: a wavelength of 1.5418 Å
Structure: a cell relaxed with GGA-PBE

Peak list (6 most intense, 2θ = 15–90°, in order of rising 2θ)
| 2theta | Rel. int. |
| --- | --- |
| 29.70 | 43 |
| 29.96 | 36 |
| 31.54 | 32 |
| 33.18 | 100 |
| 36.05 | 20 |
| 54.96 | 20 |

Atomic structure:
abc: 10.441 10.441 5.976
angles: 90.00 90.00 119.59
Positions (direct):
Th  0.072  0.928  0.500
Th  0.086  0.572  0.310
Th  0.250  0.750  0.820
Th  0.260  0.406  0.997
Th  0.406  0.260  0.497
Th  0.428  0.914  0.310
Th  0.572  0.086  0.810
Th  0.594  0.740  0.997
Th  0.740  0.594  0.497
Th  0.750  0.250  0.320
Th  0.914  0.428  0.810
Th  0.928  0.072  0.000
H  0.197  0.803  0.466
H  0.803  0.197  0.966
Pb  0.072  0.257  0.502
Pb  0.257  0.072  0.002
Pb  0.409  0.591  0.501
Pb  0.591  0.409  0.001
Pb  0.743  0.928  0.502
Pb  0.928  0.743  0.002


Entry 2:
Calculated X-ray powder pattern
Compound: CsPa2Se4
Radiation: a wavelength of 1.5418 Å
Structure: a cell relaxed with GGA-PBE

Peak list (6 most intense, 2θ = 15–90°, in order of rising 2θ)
| 2theta | Rel. int. |
| --- | --- |
| 22.14 | 100 |
| 28.39 | 47 |
| 29.05 | 84 |
| 30.94 | 63 |
| 37.78 | 52 |
| 42.83 | 66 |

Atomic structure:
abc: 7.331 7.331 14.690
angles: 90.00 90.00 146.33
Positions (direct):
Cs  0.108  0.892  0.750
Cs  0.892  0.108  0.250
Pa  0.371  0.629  0.562
Pa  0.371  0.629  0.938
Pa  0.629  0.371  0.062
Pa  0.629  0.371  0.438
Se  0.000  0.000  0.000
Se  0.000  0.000  0.500
Se  0.261  0.739  0.103
Se  0.261  0.739  0.397
Se  0.408  0.592  0.750
Se  0.592  0.408  0.250
Se  0.739  0.261  0.603
Se  0.739  0.261  0.897


Entry 3:
Calculated X-ray powder pattern
Compound: Pm2Nd2Dy2Mg
Radiation: a wavelength of 1.5418 Å
Structure: a cell relaxed with GGA-PBE

Peak list (6 most intense, 2θ = 15–90°, in order of rising 2θ)
| 2theta | Rel. int. |
| --- | --- |
| 30.65 | 100 |
| 34.65 | 39 |
| 37.24 | 12 |
| 49.82 | 14 |
| 51.77 | 19 |
| 59.63 | 30 |

Atomic structure:
abc: 17.101 17.100 3.661
angles: 83.87 83.85 12.29
Positions (direct):
Pm  0.064  0.064  0.936
Pm  0.936  0.936  0.064
Nd  0.212  0.212  0.788
Nd  0.788  0.788  0.212
Dy  0.363  0.363  0.637
Dy  0.637  0.637  0.363
Mg  0.500  0.500  0.500


Entry 4:
Calculated X-ray powder pattern
Compound: PrNd2SmTm
Radiation: a wavelength of 1.5418 Å
Structure: a cell relaxed with GGA-PBE

Peak list (6 most intense, 2θ = 15–90°, in order of rising 2θ)
| 2theta | Rel. int. |
| --- | --- |
| 28.14 | 88 |
| 28.38 | 65 |
| 29.02 | 96 |
| 29.48 | 100 |
| 32.09 | 56 |
| 32.69 | 80 |

Atomic structure:
abc: 8.467 6.607 6.303
angles: 90.00 93.60 90.00
Positions (direct):
Pr  0.000  0.000  0.000
Pr  0.000  0.000  0.500
Nd  0.311  0.308  0.229
Nd  0.311  0.692  0.729
Nd  0.689  0.308  0.271
Nd  0.689  0.692  0.771
Sm  0.000  0.435  0.750
Sm  0.000  0.565  0.250
Tm  0.500  0.164  0.750
Tm  0.500  0.836  0.250


Entry 5:
Calculated X-ray powder pattern
Compound: KTa2P
Radiation: a wavelength of 1.5418 Å
Structure: a cell relaxed with GGA-PBE

Peak list (6 most intense, 2θ = 15–90°, in order of rising 2θ)
| 2theta | Rel. int. |
| --- | --- |
| 32.24 | 31 |
| 36.09 | 100 |
| 37.01 | 14 |
| 37.92 | 26 |
| 41.83 | 41 |
| 67.30 | 16 |

Atomic structure:
abc: 2.996 2.996 9.715
angles: 90.00 90.00 104.74
Positions (direct):
K  0.000  0.000  0.000
Ta  0.000  0.000  0.560
Ta  0.500  0.500  0.340
P  0.500  0.500  0.737


Entry 6:
Calculated X-ray powder pattern
Compound: Mo3OsRu3
Radiation: a wavelength of 1.5418 Å
Structure: a cell relaxed with GGA-PBE

Peak list (6 most intense, 2θ = 15–90°, in order of rising 2θ)
| 2theta | Rel. int. |
| --- | --- |
| 33.15 | 12 |
| 42.29 | 47 |
| 42.46 | 100 |
| 61.35 | 13 |
| 77.46 | 26 |
| 77.81 | 16 |

Atomic structure:
abc: 6.044 6.044 5.999
angles: 90.00 90.00 90.08
Positions (direct):
Mo  0.000  0.000  0.249
Mo  0.000  0.000  0.751
Mo  0.000  0.500  0.250
Mo  0.000  0.500  0.750
Mo  0.500  0.000  0.250
Mo  0.500  0.000  0.750
Os  0.272  0.272  0.000